[What to do]
Could you type out the whole of the rows further down verbatim?

[Listing]
=====
1.
This record from the OMol25 dataset describes a structure of composition C38H32N6O12S2V at a distorted geometry. The level of theory is ωB97M-V/def2-TZVPD.

XYZ file:
```
91
Properties=species:S:1:pos:R:3
V 0.566 0.359 0.463
O -1.580 -3.204 0.427
C -0.820 -2.319 0.837
O -0.580 -1.246 0.183
C -0.185 -2.486 2.213
C -0.493 -3.650 2.864
C -0.048 -3.884 4.174
C 0.656 -2.927 4.875
C 0.949 -1.736 4.240
C 0.646 -1.481 2.850
O 1.098 -0.477 2.247
N 1.603 -0.743 5.072
O 2.172 -1.123 6.091
O 1.624 0.422 4.733
N -0.369 -5.124 4.836
O 0.006 -5.295 5.990
O -0.998 -5.970 4.226
H -1.103 -4.369 2.337
H 0.952 -3.089 5.896
C -7.260 -0.871 -0.414
C -6.020 -0.323 0.239
C -4.762 -0.612 -0.281
C -3.608 -0.123 0.309
C -3.711 0.673 1.443
C -4.951 0.966 1.982
C -6.099 0.469 1.380
S -2.221 1.244 2.255
O -2.623 2.437 2.982
O -1.745 0.140 3.041
N -1.194 1.535 1.077
C -1.464 2.538 0.180
C -2.363 3.577 0.348
C -2.541 4.555 -0.651
C -1.837 4.529 -1.818
C -0.909 3.481 -2.041
C -0.173 3.371 -3.235
C 0.649 2.306 -3.403
C 0.771 1.362 -2.365
N 0.140 1.457 -1.229
C -0.733 2.484 -1.055
H -7.257 -1.963 -0.409
H -7.333 -0.552 -1.456
H -8.160 -0.534 0.104
H -4.675 -1.250 -1.154
H -2.629 -0.394 -0.071
H -5.013 1.592 2.863
H -7.071 0.697 1.806
H -2.917 3.652 1.270
H -3.258 5.348 -0.471
H -1.976 5.281 -2.586
H -0.292 4.127 -4.003
H 1.223 2.165 -4.310
H 1.420 0.497 -2.450
C -0.325 -2.459 -6.209
C 0.426 -2.443 -4.905
C 1.798 -2.665 -4.870
C 2.493 -2.630 -3.666
C 1.814 -2.368 -2.489
C 0.440 -2.158 -2.499
C -0.237 -2.196 -3.705
S 2.675 -2.270 -0.928
O 1.874 -3.014 0.001
O 4.013 -2.771 -1.182
N 2.608 -0.710 -0.567
C 3.603 0.169 -0.918
C 4.896 -0.136 -1.411
C 5.756 0.896 -1.722
C 5.377 2.223 -1.555
C 4.098 2.436 -1.065
N 3.249 1.467 -0.764
H 0.283 -2.896 -7.003
H -0.602 -1.448 -6.521
H -1.248 -3.037 -6.132
H 2.332 -2.874 -5.792
H 3.563 -2.807 -3.630
H -0.086 -1.979 -1.567
H -1.311 -2.035 -3.710
H 5.212 -1.155 -1.526
H 6.746 0.653 -2.095
H 6.034 3.049 -1.794
H 3.724 3.447 -0.906
C 2.152 3.489 3.122
C 2.321 2.291 2.229
C 3.513 1.409 2.447
O 1.524 2.073 1.348
H 3.085 4.054 3.194
H 1.916 3.126 4.126
H 1.337 4.108 2.757
H 4.390 1.952 2.073
H 3.393 0.480 1.895
H 3.658 1.211 3.508
```

Output
ΔE to the lowest compared entry with this formula, charge and spin   3.0 kcal per mole
Lowest unoccupied orbital energy (alpha / beta)   0.147 / 0.147 hartree
Spin multiplicity   4
HOMO level (alpha / beta)   -1.47 / -3.03 eV
Charge   -2

Atom charges from the Löwdin analysis, given in e for atoms 1 to 4: atom 1 (V): 0.825, atom 2 (O): 0.016, atom 3 (C): -0.589, atom 4 (O): -0.182


2.
This record from the OMol25 dataset describes a structure of composition C24H46CaCl2N3O5Si at a distorted geometry. The level of theory is ωB97M-V/def2-TZVPD.

XYZ file:
```
82
Properties=species:S:1:pos:R:3
C 3.296 -2.092 -5.541
C 2.671 -1.450 -6.734
H 2.760 -3.017 -5.270
H 3.278 -1.383 -4.703
H 4.344 -2.358 -5.745
C 2.773 -2.003 -7.963
C 3.200 -3.408 -8.195
H 2.629 -1.425 -8.875
H 2.669 -4.123 -7.549
H 4.278 -3.534 -8.024
H 2.986 -3.672 -9.233
Ca 1.261 0.073 -2.828
Cl 3.102 1.812 -3.295
C -0.128 2.864 -2.309
O -0.373 1.634 -2.459
N -0.998 3.844 -2.560
C -2.391 3.516 -2.845
C -0.536 5.182 -2.897
H 0.869 3.192 -1.965
H -2.790 2.853 -2.066
H -2.502 3.024 -3.823
H -2.953 4.449 -2.847
H 0.291 5.472 -2.236
H -1.365 5.886 -2.772
H -0.178 5.245 -3.937
H -3.547 1.615 2.302
H -1.282 2.625 2.463
C -3.116 0.621 2.133
C -0.865 1.609 2.379
N -1.775 0.758 1.608
H -3.716 0.061 1.415
C -1.431 0.085 0.487
O -2.186 -0.629 -0.155
H 0.117 1.664 1.874
H -0.295 0.237 0.128
H -3.088 0.096 3.095
H -0.741 1.211 3.402
H -0.368 -5.300 -0.030
H 0.012 -4.790 -3.329
C -1.227 -4.763 -0.462
C -0.973 -4.499 -2.935
N -0.841 -3.925 -1.598
H -1.708 -4.164 0.319
C -0.233 -2.743 -1.463
O 0.143 -2.047 -2.441
H -1.437 -3.780 -3.621
H -0.081 -2.410 -0.419
H -1.944 -5.501 -0.826
H -1.602 -5.381 -2.839
O 0.990 -0.279 -5.341
C 1.979 -0.125 -6.434
C 0.782 -0.016 -8.714
C 1.545 0.596 -7.718
H 0.434 -1.047 -8.584
C 0.447 0.638 -9.909
H 2.738 0.494 -5.941
=====

[Reply]
1.
This record from the OMol25 dataset describes a structure of composition C38H32N6O12S2V at a distorted geometry. The level of theory is ωB97M-V/def2-TZVPD.

XYZ file:
```
91
Properties=species:S:1:pos:R:3
V 0.566 0.359 0.463
O -1.580 -3.204 0.427
C -0.820 -2.319 0.837
O -0.580 -1.246 0.183
C -0.185 -2.486 2.213
C -0.493 -3.650 2.864
C -0.048 -3.884 4.174
C 0.656 -2.927 4.875
C 0.949 -1.736 4.240
C 0.646 -1.481 2.850
O 1.098 -0.477 2.247
N 1.603 -0.743 5.072
O 2.172 -1.123 6.091
O 1.624 0.422 4.733
N -0.369 -5.124 4.836
O 0.006 -5.295 5.990
O -0.998 -5.970 4.226
H -1.103 -4.369 2.337
H 0.952 -3.089 5.896
C -7.260 -0.871 -0.414
C -6.020 -0.323 0.239
C -4.762 -0.612 -0.281
C -3.608 -0.123 0.309
C -3.711 0.673 1.443
C -4.951 0.966 1.982
C -6.099 0.469 1.380
S -2.221 1.244 2.255
O -2.623 2.437 2.982
O -1.745 0.140 3.041
N -1.194 1.535 1.077
C -1.464 2.538 0.180
C -2.363 3.577 0.348
C -2.541 4.555 -0.651
C -1.837 4.529 -1.818
C -0.909 3.481 -2.041
C -0.173 3.371 -3.235
C 0.649 2.306 -3.403
C 0.771 1.362 -2.365
N 0.140 1.457 -1.229
C -0.733 2.484 -1.055
H -7.257 -1.963 -0.409
H -7.333 -0.552 -1.456
H -8.160 -0.534 0.104
H -4.675 -1.250 -1.154
H -2.629 -0.394 -0.071
H -5.013 1.592 2.863
H -7.071 0.697 1.806
H -2.917 3.652 1.270
H -3.258 5.348 -0.471
H -1.976 5.281 -2.586
H -0.292 4.127 -4.003
H 1.223 2.165 -4.310
H 1.420 0.497 -2.450
C -0.325 -2.459 -6.209
C 0.426 -2.443 -4.905
C 1.798 -2.665 -4.870
C 2.493 -2.630 -3.666
C 1.814 -2.368 -2.489
C 0.440 -2.158 -2.499
C -0.237 -2.196 -3.705
S 2.675 -2.270 -0.928
O 1.874 -3.014 0.001
O 4.013 -2.771 -1.182
N 2.608 -0.710 -0.567
C 3.603 0.169 -0.918
C 4.896 -0.136 -1.411
C 5.756 0.896 -1.722
C 5.377 2.223 -1.555
C 4.098 2.436 -1.065
N 3.249 1.467 -0.764
H 0.283 -2.896 -7.003
H -0.602 -1.448 -6.521
H -1.248 -3.037 -6.132
H 2.332 -2.874 -5.792
H 3.563 -2.807 -3.630
H -0.086 -1.979 -1.567
H -1.311 -2.035 -3.710
H 5.212 -1.155 -1.526
H 6.746 0.653 -2.095
H 6.034 3.049 -1.794
H 3.724 3.447 -0.906
C 2.152 3.489 3.122
C 2.321 2.291 2.229
C 3.513 1.409 2.447
O 1.524 2.073 1.348
H 3.085 4.054 3.194
H 1.916 3.126 4.126
H 1.337 4.108 2.757
H 4.390 1.952 2.073
H 3.393 0.480 1.895
H 3.658 1.211 3.508
```

Output
ΔE to the lowest compared entry with this formula, charge and spin   3.0 kcal per mole
Lowest unoccupied orbital energy (alpha / beta)   0.147 / 0.147 hartree
Spin multiplicity   4
HOMO level (alpha / beta)   -1.47 / -3.03 eV
Charge   -2

Atom charges from the Löwdin analysis, given in e for atoms 1 to 4: atom 1 (V): 0.825, atom 2 (O): 0.016, atom 3 (C): -0.589, atom 4 (O): -0.182


2.
This record from the OMol25 dataset describes a structure of composition C24H46CaCl2N3O5Si at a distorted geometry. The level of theory is ωB97M-V/def2-TZVPD.

XYZ file:
```
82
Properties=species:S:1:pos:R:3
C 3.296 -2.092 -5.541
C 2.671 -1.450 -6.734
H 2.760 -3.017 -5.270
H 3.278 -1.383 -4.703
H 4.344 -2.358 -5.745
C 2.773 -2.003 -7.963
C 3.200 -3.408 -8.195
H 2.629 -1.425 -8.875
H 2.669 -4.123 -7.549
H 4.278 -3.534 -8.024
H 2.986 -3.672 -9.233
Ca 1.261 0.073 -2.828
Cl 3.102 1.812 -3.295
C -0.128 2.864 -2.309
O -0.373 1.634 -2.459
N -0.998 3.844 -2.560
C -2.391 3.516 -2.845
C -0.536 5.182 -2.897
H 0.869 3.192 -1.965
H -2.790 2.853 -2.066
H -2.502 3.024 -3.823
H -2.953 4.449 -2.847
H 0.291 5.472 -2.236
H -1.365 5.886 -2.772
H -0.178 5.245 -3.937
H -3.547 1.615 2.302
H -1.282 2.625 2.463
C -3.116 0.621 2.133
C -0.865 1.609 2.379
N -1.775 0.758 1.608
H -3.716 0.061 1.415
C -1.431 0.085 0.487
O -2.186 -0.629 -0.155
H 0.117 1.664 1.874
H -0.295 0.237 0.128
H -3.088 0.096 3.095
H -0.741 1.211 3.402
H -0.368 -5.300 -0.030
H 0.012 -4.790 -3.329
C -1.227 -4.763 -0.462
C -0.973 -4.499 -2.935
N -0.841 -3.925 -1.598
H -1.708 -4.164 0.319
C -0.233 -2.743 -1.463
O 0.143 -2.047 -2.441
H -1.437 -3.780 -3.621
H -0.081 -2.410 -0.419
H -1.944 -5.501 -0.826
H -1.602 -5.381 -2.839
O 0.990 -0.279 -5.341
C 1.979 -0.125 -6.434
C 0.782 -0.016 -8.714
C 1.545 0.596 -7.718
H 0.434 -1.047 -8.584
C 0.447 0.638 -9.909
H 2.738 0.494 -5.941